Curve Fitting In Trading: What is it? | Backtest Strategies – Overfitting
Curve fitting is when a strategy or edge is not fit to market behavior, but market noise, leading to failure in live trading. Curve fitting (overfitting) is overoptimization that is unlikely to fit into future unknown data.
You have probably read about curve fitting in trading books, trading magazines, and social media. The danger of Curve fitting is ubiquitous when designing trading strategies. It has the potential to ruin your trading career if not dealt with correctly and can be hard to notice, even for traders with decades of experience. In this article, we will learn what curve fitting is, and why you should try to avoid it. Or should you always avoid it?
(Before we go on we’d like to mention that we have a backtesting course that covers all aspects of how to backtest.)
Key Takeaways
- Curve fitting is the mistaken modeling of a trading strategy based on market noise rather than market behavior, leading to poor performance in live trading
- True trading edges are rare and require distinguishing genuine market behavior patterns from random noise.
- Avoiding curve fitting involves simplicity in strategy, parameter stability, in-sample/out-of-sample testing, incubation, walk forward testing, and Monte Carlo simulation.
- Curve fitting (optimization) can be useful if you know what you are doing.
Part I: What is curve fitting? (Overfitting)
Backtesting in search of edges
When we perform backtests, we analyze data in search of recurrent patterns that have predictive potential. In other words, we want to know if the tested pattern can tell us when the market is prone to going up or down so that we can be in the market only when it is favorable to us. If we succeed to find patterns that we think mirror market behavior, we have a trading edge.
Since our trading business is, or at least should be entirely reliant on edges, their quality and robustness dictate how well we cope with carving out profits in the market. Therefore, it is critical that our edges continue to work well also into the future if we want to make any money.
A thought experiment
Insinuate that your observation of what you presume is an edge, is flawed and holds no merit. Insinuate that you cannot know if your edge will continue to deliver going forward and that an overwhelming majority of patterns you call edges, will not work at all.
Quite scary, isn’t it, when you are about to risk your own money on those very edges?
Well, this is not a thought experiment. It is reality.
The harsh truth about observations of market behavior
When we search for edges in the markets, most of what we assume is an edge, will be outright garbage! True edges are hard to find, and in your search, you will sometimes be completely certain that you have an edge ready to trade, only to see it fall apart completely once exposed to new market data. This is one of the aspects that makes trading so hard for beginners to succeed in, and that needs to be overcome before risking real money!
### Inserted here: materials data
____________
[1]
Tc2AgSbO GGA-PBE optimized geometry; density of states at the Fermi level = 1.08 states/eV per atom; energy relative to the elements, uncorrected = 2.243 eV/atom
1.0
5.179 0.000 0.000
0.000 5.179 0.000
0.000 0.000 4.966
Tc Ag Sb O
2 1 1 1
Cartesian
0.000 2.589 0.000
2.589 0.000 0.000
0.000 0.000 0.000
0.000 0.000 2.483
2.589 2.589 2.483

=====

[2]
Ce12Si6Tc GGA-PBE optimized geometry; density of states at the Fermi level = 2.34 states/eV per atom; energy relative to the elements, uncorrected = -0.327 eV/atom
1.0
5.713 3.298 4.074
-5.713 3.298 4.074
0.000 -6.597 4.074
Ce Si Tc
12 6 1
Cartesian
-3.570 -3.832 6.639
-5.103 1.176 5.582
-2.034 -0.519 4.382
1.533 -5.008 5.582
1.466 -1.502 4.382
-0.568 -2.021 7.839
0.568 2.021 4.382
-1.466 1.502 7.839
-1.533 5.008 6.639
2.034 0.519 7.839
5.103 -1.176 6.639
3.570 3.832 5.582
-0.937 -3.309 5.198
-3.334 -0.843 7.023
-2.397 2.465 5.198
2.397 -2.465 7.023
3.334 0.843 5.198
0.937 3.309 7.023
0.000 0.000 6.110


No. 1
Density functional theory data (PBE) for crystalline Pa2GeC at its relaxed geometry.

a = 3.341 Å, b = 3.341 Å, c = 8.228 Å
α = 78.29°, β = 78.29°, γ = 60.00°
Positions (direct):
Pa  0.101  0.101  0.698
Pa  0.232  0.232  0.303
C  0.501  0.501  0.498
Ge  0.666  0.666  0.002

Results
**Energy relative to the lowest polymorph listed for this composition**: 0.232 eV/atom
**Symmetry**: R3m, No. 160

***

No. 2
Density functional theory data (PBE) for crystalline AcPrCI at its relaxed geometry.

a = 3.982 Å, b = 3.985 Å, c = 8.488 Å
α = 89.99°, β = 103.59°, γ = 119.97°
Positions (direct):
C  0.312  0.554  0.881
Ac  0.520  0.158  0.693
Pr  0.087  0.942  0.045
I  0.959  0.378  0.351

Results
**Symmetry**: R3m, No. 160
**Formation energy without anion corrections**: -608 meV per atom

***

No. 3
Density functional theory data (PBE) for crystalline Li2LaAg2Sn2 at its relaxed geometry.

a = 4.703 Å, b = 4.703 Å, c = 8.632 Å
α = 74.19°, β = 74.19°, γ = 60.00°
Positions (direct):
Li  0.860  0.860  0.420
Li  0.140  0.140  0.580
Ag  0.562  0.562  0.314
Ag  0.438  0.438  0.686
Sn  0.744  0.744  0.768
Sn  0.256  0.256  0.232
La  0.000  0.000  0.000

Results
**Energy**: -3.654 eV/atom
**Symmetry**: R-3m, No. 166

***

No. 4
Density functional theory data (PBE) for crystalline BaY2Tc at its relaxed geometry.

a = 6.453 Å, b = 6.453 Å, c = 3.415 Å
α = 75.84°, β = 75.84°, γ = 116.73°
Positions (direct):
Ba  0.500  0.000  0.500
Y  0.500  0.500  0.000
Y  0.000  0.000  0.000
Tc  0.000  0.500  0.500

Results
**Energy relative to the lowest polymorph listed for this composition**: 0.633 eV/atom
**Symmetry**: C2/m, No. 12

***

No. 5
Density functional theory data (PBE) for crystalline AcTl4Pd2 at its relaxed geometry.

a = 4.816 Å, b = 7.579 Å, c = 19.340 Å
α = 90.00°, β = 90.00°, γ = 90.00°
Positions (direct):
Tl  0.750  0.335  0.316
Tl  0.250  0.239  0.193
Tl  0.750  0.657  0.967
Tl  0.250  0.835  0.184
Tl  0.250  0.343  0.033
Tl  0.250  0.510  0.429
Tl  0.250  0.157  0.533
Tl  0.750  0.739  0.307
____________
### Back to the page
Asking a question
Now that we know about the tendencies of the markets to deceive us into believing in false edges, it is time for us to ask a question to understand why this is, and what it has to do with curve fitting.
The question reads as follows:
Of all patterns we observe, only a few are true edges. How come that some of the observations we make are edges and others are not?
Or the same question veiled in other words:
How come some observations are true edges and others are curve fit?
To answer this, let us begin by learning a few lessons:
Lesson 1: Markets are mostly random
The first thing every trader needs to grasp to be able to understand the concept of overfitting, is that a majority of market action is random noise. Most market activity simply cannot be derived from any form of analysis and needs to be accepted as nothing else than random market noise.
Lesson 2: Most people want explanations, even to the inexplicable
We as humans have an urge to explain everything we see and experience. By doing so we bring order to a chaotic world, at the cost of quite often lying to ourselves. This tendency among humans can often be observed when financial news media covers recent market activity. The expert may ascribe soaring markets to some recent event, which seems perfectly reasonable. However, once the market turns around, so do often the experts explaining the downturn with the very same arguments.
In such cases, it is apparent that humans like to fit explanations to reality and not the other way around since both of our expert´s comments cannot be true at the same time.
The severe fallback of this inclination of the human mind is that reality is not very inclined to conform to our description of it. Curve fit edges will not hold, regardless of what reason we ascribe to its logic.
Lesson 3: Correlation does not equal causality – market behavior and market data are not the same
The third and last lesson we must learn before we can grasp the concept of curve fitting is that market data and market behavior are not the same.
Market behavior is non-random price action that holds predictive value, while market data consists of market behavior AND market noise combined. The consequence of this is that what seems to work in the backtest carried out on market data, cannot be taken for true market behavior before being put under scrutiny. It may very well be a result of randomness, thus holding no value going forward.
So, what is curve fitting?
Using what we now know from the three lessons in this article, we may define what we mean by curve fitting. Our definition reads as follows:
Overfitting is when random market noise forms haphazard patterns in price data, that are later viewed and considered an edge, despite being a product of sheer randomness.
To elaborate, when curve fitting, we don´t fit our models to market behavior. We fit them to market data. That is a huge difference since market data consists not only of market behavior but also of random market noise. For that model to be profitable going forward, the random patterns observed in historical data must repeat themselves. However, the one main trait of random patterns is that they do not hold any predictive value, since they are random.
Therefore, curve fit models nearly always fall apart in live trading.
An Illustration of the Concept of Overfitting
For it all to become a little clearer, let us illustrate the concept of curve fitting with an example:
Alan is building a house on the outskirts of the desert to investigate local wildlife. Since his arrival, it has not rained once, so he finds it unnecessary to build a roof that can handle large rain masses. After all, this is a desert, and who would expect rain to be abundant?
What he does not know, is that the period since his arrival has been the driest period for over 100 years. Quite soon after finishing his construction, he understands that his observation of the weather and the following conclusion that rain does not fall here was flawed. It was based on some random weather phenomenon that was not representative of normal weather behavior in the area. Soon, his house is flooded by the rain masses. His construction was curve fit to his observation of a random drought period.
Going back to trading
If we were to translate this story to fit with trading and curve fitting, we would get the following translations
Drought period = Market noise
Alan´s observation of the drought period = Our presumed edge in the market
The immediate failure of the construction = The failure of a curve fit edge
Alan curve fit his construction to a type of weather that was not typical of that region, despite believing it was. In the same way, traders curve fit their models to market data instead of market behavior.
Another thing Alan did, that we have not gone into yet, was to find an argument that supported his conclusion that rain is scarce in the area.
“…After all, this is desert, and who would expect rain to be abundant?…”
Most likely he had found supporting arguments for the very opposite claim if that was what he chose to believe in. It is always important to remain vigilant as soon as one´s mind wanders away attempting to explain the observed patterns. Those explanations may very well be flawed in themselves and should not be taken as evidence enough to trade any edge! As we know, we are inclined towards explaining even the inexplicable; or in other words; lying to ourselves. If such a lie would persuade us to trade curve fit edges, that could end less well.
Of course, many edges can be explained, which in such cases adds to their credibility. However, such explanations should only be taken into consideration after extensive robustness testing.
Curve fitting of robust edges
Many times when designing strategies you will find yourself in the grey zone. You might consider adding one more filter to improve the results only a little or choose a parameter value that has performed considerably better than the surrounding ones. For example, if your edge consists of a moving average, you might choose 14 for the average length, because 13 and 15 have performed much worse.
Given that your edge is robust, this type of optimization will most often lead to your edge being partly curve fit. This means that while it will most likely continue to perform going forward, it will do so with much poorer results than in the backtest. This could be devastating once you are about to determine your capitalization, meaning how much money is needed to trade. You could easily risk too much and face drawdowns that wipe you out completely!
Part II: What can be done to avoid overfitting?
Let’s look at some ways to avoid or even eliminate overfitting from your backtests:
Changing perspective
Until now we have only covered what curve fitting is, and why it is a pitfall that needs to be avoided. In this part of the article, we will briefly touch upon different methods that could be employed to validate an edge and discern true edges from curve fitted ones. These methods are often referred to as “robustness testing” since what we do is to validate the robustness of our edges.
With most things in trading, there are no universal truths that apply under all circumstances. The same applies to what methods to use to mitigate curve fitting. Each trader will, as his experience grows, find his own way of applying some of the methods available. Therefore, in this section of the article, only the most common methods to avoid curve fitting will be touched upon.
We will cover the following topics, in the order presented below:
- Less is more
- Parameter Stability
- In sample and out-of-sample testing
- Incubation
- Walk forward testing
- Monte Carlo simulation
Each topic is only presented briefly. Feel free to deep dive into our articles on every method! They are all linked below!
Let us begin!
1. Less is more in trading
In trading, you should always strive to make your edge as simple as possible. Overcomplicated edges with numerous conditions and rules tend to be curve fit.
- 2 Reasons Why Less Is More In Trading
- Simple Vs Complex Trading Strategies
- Street Smarts Beat Book Smarts In Trading?
2. Parameter stability
Parameter stability is a good indication of whether a strategy is curve fitted or not. In general, we want as many parameter combinations to produce desirable results as possible.
3. In-sample and out-of-sample testing
To avoid curve fitting, out-of-sample and in-sample testing is a crucial part of every trader’s methodology, in one way or another.
By dividing our data into a training set and a validation set, we can test our idea on the training set, and later verify it on the validation set.
4. Incubation
To put it outright, incubation is out of sample testing, but with one major difference:
With typical out-of-sample testing, all data is historical. With incubation, we use future data that is not available yet.
It is easier than it seems! Read our article on incubation, and you will soon get a grasp of it! It is one of the best methods available for those wanting to discover curve fitting before it is too late!
5. Walk forward testing
Walk forward testing is a concept that takes out of sample testing to the next new level. As all other methods discussed in this article, it is a great method of determining the robustness of a strategy and preventing curve fitting.
6. Monte Carlo simulation
Monte Carlo simulation in trading is a method that can be helpful in some cases. It works by reshuffling the order of the trades in a backtest and has the potential to expose weaknesses that otherwise had been hidden in the backtest.
Overfitting Is Good In Trading: How To Curve Fit Successfully
Curve fitting is always mentioned negatively in trading. This section takes the contrarian view and explains why curve fitting is good. Curve fitting is good in the sense that not all stocks can fit into a certain trading strategy or style.
If you are new to systematic trading, we recommend you look at our complete backtesting guide. This article assumes you have at least a basic knowledge of backtesting.
First, let’s start with explaining…..
Curve fitting is the process of optimizing the parameters of a trading strategy to fit the historical data. This can be done by manually adjusting the parameters or by using an optimization algorithm.
The problem with curve fitting is that it can lead to overfitting. Overfitting is when a strategy performs well on historical data but poorly on new data. This is because the strategy has been optimized to fit the specific noise in the historical data, rather than the true underlying market dynamics.
Curve fitting is likely to happen with more parameters you put into the strategy. The more parameters, the more likely the strategy won’t adapt to future data. Generally, a trading strategy is more likely to survive the simpler it is. Complex strategies are very unlikely to last for long.
Unfortunately, all backtesting is partially curve-fitting, because history rarely repeats itself.
If you are worried about curve fitting, you might want to either run out-of-sample tests, walk-forward analyses, or, better yet, run your strategies live in a demo account for many months as an incubation period. We recommend reading our article on out of sample backtesting.
When curve fitting is good – an example
However, we have been using curve-fitted trading strategies with success for a long time. In this section, we’ll give you an example of how we did curve fitting when we were systematic and automated day traders from 2001 until 2018.
This is what we did for a stock trading strategy (trading multiple stock tickers, for example, the whole universe on NYSE but using filters for size, volatility, volume, etc.):
- Define a trading strategy with specific trading rules.
- Backtest the strategy on a wide range of listed stocks.
- Pick the stocks that have worked well over the last N years, for example, 5 years. Test those stocks going forward.
- Is there a pattern? Are there groups of stocks that have performed badly?
- Exclude sectors/groups performing poorly.
- We excluded all stocks that performed poorly.
- Rinse and repeat quarterly, semi-annually, or annually (we did quarterly).
This might not be a recipe for success for all traders, but it worked for us. And in our opinion, it makes sense. Please continue reading to better understand why.
Is Jim Simons curve fitting?
We are looking for patterns, and we might argue that if you reject 10 patterns but trade one, you are curve-fitting.
Can we argue that curve fitting is the edge? Look at what Jim Simons and his team have done in the Medallion fund. Jim Simons has multiple times said that they don’t ask why a strategy might work, they just trade it as long as it’s statistically significant.
We might argue that this is curve fitting. After all, they test a vast number of hypotheses, scrapping those that don’t work and keeping those that do. If you backtest thousands of strategies, you’ll be sure to find something by chance simply because you backtest a lot.
Is curve fitting a trading edge?
What could be the deciding factors for including or excluding a stock? We list the two most obvious factors:
- Sectors or industries. Some sectors don’t work. Oil stocks and commodities are notoriously bad, in our opinion. But it might change over time. For example, REITS were good in the early 2000, but it all changed in 2007 when the financial crisis started coming in.
- Volatility: volatile stocks are not good. Of course, it depends on the type of strategy. We have always regarded the most boring stocks as the best one to trade. Volatile smallcap stocks have not made money since at least 1963!
Perhaps curve fitting is a trading edge in itself?
There are other factors we looked at, especially when we were day trading stocks, but we believe you’ll make some interesting discoveries yourself if you try this approach.
This is not a recommendation to make complex strategies. But you might consider giving the above approach a try. There are many reasons why a particular strategy might not work for certain stocks and vice versa, other stocks might behave differently.
To summarize, don’t expect a strategy to work on all stocks or all markets. Markets differ. But make sure you know what you are doing! This is a part of the backtesting process that is highly dependent on experience.
Curve fitting – conclusion
Curve fitting occurs when our models are fitted to random market noise rather than true market behavior, which means that your trading strategy stops working. However, edges could also be partially curve fit, resulting in massively degraded performance in live trading.
All in all, curve fitting is a major concern that every trader, beginner and experienced, actively needs to battle to trade profitably. The difference between profitable and failing traders is not that some do not curve fit. Some have found methods like those presented in this article that they actively use to decide which edges are worth trading and which are not.
What are the challenges traders face when searching for true edges in the markets?
Explore the difficulties traders encounter in identifying true edges amidst a sea of potential patterns, highlighting the unpredictable nature of market behavior.
How do lessons about market randomness, human tendencies, and correlation vs. causality contribute to understanding curve fitting?
Gain insights into lessons about market randomness, human biases in explaining market phenomena, and the distinction between market behavior and market data.
How can traders avoid or eliminate curve fitting from their backtests?
Explore various methods, including less complexity in trading strategies, parameter stability, in-sample and out-of-sample testing, incubation, walk forward testing, and Monte Carlo simulation.